Since I started reading, I’ve always reached for the same books. I like young adult contemporary with some fantasy books mixed in – maybe a few paranormal/etc. ones if the mood strikes. I also read a lot of adult contemporary (“chick lit” – ugh) because, back when I started reading YA, there weren’t nearly as many options as there are now. I was reading Sophie Kinsella when I was 14 years old. You can pretty much tell that my reading habits and preferences haven’t really changed; I’m still reading young adult books with some adult books mixed in. However, I can say that a few more specific preferences have changed over time. I wrote a draft a long time ago wondering if I was older and wiser, or if I’ve just read too many YA books. I found that I can easily pick up on certain twists. Is it because I’m getting too old for YA? Is YA getting more predictable? Is is only more “predictable” because I’ve read so many of them at this point? This post isn’t about plot twists and predictability necessarily (I sort of already talked about that) – it’s about how I’ve adjusted my reading based on my age and reading experience. I’m fine-tuning what I want to read and figuring out my reading life as a 25 year old person who still enjoys young adult literature. I don’t want to overstep and judge certain books harshly because I’m older than the characters; I always try to put myself in the shoes of 16-year-old-Lauren when reviewing and relating to YA characters.
I have been saying over the past year or so that I really want to expand my reading horizons more. I’m intentionally choosing more non-contemporary books. Back in the early YA reading days for me, I reached for books like Gossip Girl and The A-List. Typical mean girl, rich girl contemporary “romance” books that are almost nothing like today’s contemporary romances.
Aside from those contemporaries, I did sometimes read fantasy books. I didn’t read many mysteries (except Private or Pretty Little Liars, but that’s because the mysteries involved also had rich, mean girls at school), paranormal books, or historical fiction. There are key exceptions to this rule, but the only non-contemporary I entertained were the Harry Potter books (when they were still coming out) and a few others.
Here’s the breakdown of books by genre from 2015 and 2016 so far. You can see that the categories I’m using for tracking are somewhat different now, but I think I’m reading a little more widely in some ways? It’s hard to tell without solid book numbers but I can tell there’s a little something different here. I’m currently under 50% for contemporaries for 2016, when last year was over. This year I’m reading more fantasy books than mysteries, the paranormal segment doubled, and the dystopias almost tripled.
Contemporary | 51.7%
Mystery/Thriller | 11.7%
Fantasy | 10%
Retelling | 5%
General/Misc. | 4.1%
Between two parts of the entry: molecular data >
'''
1.
A 4-piece molecular cluster, C13H32BF5O9S2Si overall, computed with wB97M-V/def2-TZVPD.

## Properties
- HOMO-LUMO gap (eV) = 9.40
- energy (eV) = -76238.357
- HOMO (eV) = -10.1
- LUMO energy (eV) = -0.67
- SMILES string = COB(O)[Si@@H](S(C)(=O)=O)S(=O)(=O)C(F)(F)C(F)(F)F.CC(C)O.CC(C)O.CC(C)O

Structure (XYZ):
```
63
Properties=species:S:1:pos:R:3:mulliken_charge:R:1
C 2.07190 -1.38370 1.43663 -0.714
O 1.32640 -0.42931 0.66294 -0.305
B 0.55563 -0.98207 -0.33269 0.850
O 0.79323 -0.59473 -1.62544 -0.627
Si -0.80389 -2.33735 0.17506 0.103
S -2.88770 -1.66159 0.04643 1.117
C -3.77539 -2.50789 1.39231 -0.957
O -3.53694 -2.09019 -1.16225 -0.645
O -3.01303 -0.24335 0.25141 -0.574
S -0.46292 -4.10951 -1.09634 1.157
O -1.50105 -4.32719 -2.05162 -0.656
O 0.78788 -3.91510 -1.79443 -0.676
C -0.42952 -5.64718 -0.03677 0.551
F -0.89955 -5.32096 1.18523 -0.271
F -1.20426 -6.58290 -0.53212 -0.238
C 0.97915 -6.26792 0.16944 0.632
F 0.80351 -7.37103 0.89609 -0.264
F 1.77359 -5.46187 0.83854 -0.217
F 1.52611 -6.65778 -0.94882 -0.215
H 1.51500 -1.57235 2.36599 0.263
H 2.26998 -2.32967 0.91071 0.299
H 3.04828 -0.98427 1.72657 0.297
H 1.69015 -0.93097 -1.80799 0.261
H -0.56388 -2.72936 1.56855 -0.124
H -3.17330 -3.36719 1.72564 0.260
H -4.71964 -2.89118 1.00181 0.378
H -3.88941 -1.84833 2.25735 0.305
C -1.23710 2.75101 2.41381 -0.766
C -2.56613 2.18773 2.88726 0.532
C -3.24529 3.12521 3.87377 -1.396
O -2.35666 0.91293 3.50700 -0.519
H -0.54892 2.88299 3.25439 0.359
H -0.75787 2.06229 1.71487 0.117
H -1.36905 3.71414 1.92105 0.062
H -3.21895 2.02117 2.02971 0.246
H -2.62407 3.26795 4.76290 0.369
H -4.19387 2.70386 4.21130 0.354
H -3.43680 4.10065 3.42347 0.324
H -1.77990 1.04951 4.26759 0.332
C 3.20891 -1.61751 -5.03567 -1.171
C 4.27982 -1.99673 -4.02508 0.373
C 4.61782 -3.47671 -4.10722 -1.203
O 3.82803 -1.68097 -2.70514 -0.541
H 2.28404 -2.16918 -4.84400 0.242
H 2.96934 -0.55570 -4.95955 0.302
H 3.53502 -1.82922 -6.05512 0.421
H 5.17838 -1.40429 -4.20242 0.306
H 3.73736 -4.08670 -3.88615 0.261
H 5.38017 -3.73684 -3.37108 0.310
H 4.98540 -3.74314 -5.09934 0.408
H 3.03333 -2.20518 -2.53893 0.283
C -0.05410 7.99721 0.65290 -1.355
C -0.31613 6.49993 0.70637 0.419
C -1.21931 6.05586 -0.43447 -1.192
O -0.91950 6.16215 1.95602 -0.518
H -0.98909 8.55668 0.74844 0.357
H 0.58740 8.30310 1.48063 0.318
H 0.42668 8.28163 -0.28462 0.381
H 0.63062 5.95995 0.65575 0.268
H -2.19157 6.55346 -0.37357 0.316
H -1.40597 4.98217 -0.37985 0.287
H -0.77311 6.28290 -1.40407 0.386
H -1.75927 6.63259 2.01681 0.339
```

---

2.
A 3-piece molecular cluster, C13H32BIN2O6Si overall, computed with wB97M-V/def2-TZVPD.

## Properties
- HOMO-LUMO gap (eV) = 9.32
- energy (eV) = -45923.649
- HOMO (eV) = -9.0
- LUMO energy (eV) = 0.30
- SMILES string = CCOB(O)[Si@](N)(CCC(N)=O)CC(=O)I.CC(C)O.CC(C)O

Structure (XYZ):
```
56
Properties=species:S:1:pos:R:3:mulliken_charge:R:1
C 3.77074 -0.26070 0.27104 -0.560
C 4.03170 -1.71902 -0.05973 -0.303
O 2.87973 -2.35284 -0.61731 -0.545
'''
Paranormal | 3.3%
Nonfiction/Memoir | 3.3%
Graphic Novel | 3.3%
Dystopia | 1.7%
Science Fiction | 1.1%
Contemporary | 49.3%
Fantasy | 10.8%
General/Misc. | 10.1%
Mystery/Thriller | 6.8%
Paranormal | 6.1%
Retelling | 5.4%
GN/Comics | 4.7%
Dystopia | 4.1%
Science Fiction | 2.0%
C42H43BClN6O5SV | wB97M-V/def2-TZVPD

HOMO-LUMO gap (alpha / beta)   7.29 / 7.78 eV
E   -113151.3659 eV
Total charge   +1
⟨S²⟩   0.76
Spin multiplicity   2
Molecular weight   841.119 g/mol
Highest occupied orbital energy (alpha / beta)   -0.407 / -0.407 hartree

```
100
Properties=species:S:1:pos:R:3:forces:R:3
V 0.7401 0.5733 -0.2051 1.477 0.653 3.107
C 0.5131 3.0718 2.7037 0.019 -0.085 -0.154
C 1.8104 2.5899 2.1480 0.243 0.053 0.126
C 3.0656 3.1222 2.4477 -0.079 -0.064 -0.042
C 3.9841 2.3222 1.7916 -0.170 0.189 -0.002
C 5.4644 2.4723 1.7125 -0.066 -0.170 0.012
N 3.2936 1.3692 1.1517 0.279 0.066 0.168
N 1.9573 1.5303 1.3425 0.010 -0.034 0.258
B 3.7753 0.0666 0.4993 -0.450 0.141 -0.013
N 2.8446 -1.0327 1.0396 0.458 -0.241 0.176
N 1.5459 -1.1110 0.6532 0.066 -0.547 0.458
C 1.0558 -2.2477 1.1669 0.165 -0.208 0.211
C -0.3138 -2.7808 0.9416 0.090 0.090 -0.137
C 2.0454 -2.8785 1.9198 -0.022 0.106 -0.037
C 3.1643 -2.0699 1.8263 -0.254 -0.096 0.022
C 4.4766 -2.2206 2.5134 0.043 0.050 -0.156
N 3.5092 0.1946 -1.0100 0.473 -0.211 -0.105
N 2.2618 0.5000 -1.4286 0.320 0.186 -0.532
C 2.3024 0.6941 -2.7549 0.239 0.028 -0.132
C 1.0987 0.9954 -3.5791 0.004 -0.084 0.091
C 3.6122 0.5149 -3.1857 -0.067 -0.004 0.073
C 4.3510 0.1977 -2.0505 -0.251 0.053 -0.133
C 5.8061 -0.0873 -1.9302 0.037 0.001 0.115
H 0.7083 3.7143 3.5592 -0.001 0.029 -0.011
H -0.0879 2.2286 3.0364 -0.052 0.050 0.036
H -0.0475 3.6527 1.9690 -0.041 0.000 0.015
H 3.2766 3.9734 3.0717 -0.008 0.016 0.014
H 5.7562 3.3799 2.2345 0.058 -0.011 0.001
H 5.7853 2.5496 0.6734 0.047 0.007 0.012
H 5.9793 1.6246 2.1654 0.033 0.008 -0.007
H 4.9139 -0.1648 0.7386 0.117 0.008 -0.037
H -0.9946 -2.0138 0.5906 -0.058 -0.033 0.012
H -0.6980 -3.1985 1.8703 -0.044 0.007 0.007
H -0.2881 -3.5924 0.2119 0.009 0.027 -0.043
H 1.9584 -3.8046 2.4613 -0.019 -0.007 0.018
H 4.4317 -3.0712 3.1886 0.030 -0.023 -0.010
H 4.7027 -1.3279 3.0967 0.055 -0.010 -0.001
H 5.2867 -2.3785 1.8017 0.033 0.000 0.027
H 0.3497 1.5459 -3.0129 0.000 0.033 -0.056
H 0.6497 0.0629 -3.9285 -0.036 0.014 0.009
H 1.3837 1.5764 -4.4536 -0.013 0.014 -0.003
H 3.9803 0.6028 -4.1929 0.007 -0.021 -0.023
H 6.2591 -0.1085 -2.9178 -0.003 -0.007 -0.011
H 5.9789 -1.0469 -1.4441 0.007 -0.013 -0.021
H 6.3090 0.6778 -1.3377 0.008 0.003 -0.002
C -2.7896 2.1229 2.2092 0.079 -0.151 0.034
C -1.8264 1.8555 1.0916 -0.143 -0.047 0.199
O -1.0746 0.8650 1.1498 0.505 0.500 -0.284
C -1.8075 2.8256 -0.0074 0.448 -0.031 -0.307
C -2.9182 3.6369 -0.2837 -0.096 -0.070 0.136
C -2.8802 4.5904 -1.2732 -0.051 0.083 -0.076
C -1.6979 4.8021 -1.9830 -0.067 -0.071 0.113
C -0.5842 4.0356 -1.7218 0.268 -0.254 0.001
C -0.6301 3.0108 -0.7660 -1.078 0.424 -0.040
O 0.4302 2.2536 -0.5813 0.089 1.814 -0.689
H -2.5238 1.5338 3.0834 0.036 -0.004 0.000
H -3.7821 1.8050 1.8865 -0.067 0.014 -0.006
H -2.8187 3.1832 2.4525 0.038 0.005 0.010
H -3.8325 3.4853 0.2744 -0.001 0.010 0.010
H -3.7575 5.1796 -1.4996 -0.015 0.002 0.048
H -1.6603 5.5704 -2.7434 0.045 0.001 -0.012
(Here the entry continues)
Historical Fiction | 0.7%
Contemporary is always at the top and usually around 50%, but I really consider any modern-day YA book without magic or sci-fi elements to be “contemporary.” They’re not all romance-focused, but the vast majority of them are. Fantasies, retellings, and graphic novels stayed about the same for the past two years. Paranormal books have double and for some reason I’ve read less mysteries, which surprises me. If you look at the two years, most of the genres from 2016 are more equal. I almost read the same amount of mystery, paranormal, retelling, graphic novel, and dystopia books. I like that I’m reading more diversely but also evenly! I can see very subtle shifts and changes that I like.
A year ago right around this time, I was sooo sick of romance. I couldn’t imagine reading another book with any kind of romance in it after binging too much in December 2015. I was totally burned out. So, of course, I jumped into some non-contemporary books without much romance. It led to some great reads! But it also led me to rate books with almost any romance poorly just because I was sick of reading. Everything became eye-rolly for me even when it was something I would usually enjoy. I’ve learned to fine-tune the kind of romances I read because I’m sick of super angsty stories. I pay close attention to reviews and act accordingly. Some people like really angst-filled books, which I totally get, but I just can’t do it anymore. I still love romance, but the drama has to be lower-key. (This is definitely true for NA books too because those often have even more drama and angst than YA books.)
My zero-tolerance policy on unnecessary drama is difficult for a few reasons. Teenagers, by nature, can have a decent amount of drama. That’s what you get when you choose to read mostly YA books when you’re 25 years old and that’s totally fine. I know I’m not the target audience for YA and I want it to remain realistic and accessible for teens. Adults don’t need to factor in. My voice is not necessarily needed for these books because I’m not who authors are writing for. I’m making a conscious choice to read books about people 10 years younger than me. Part of me really loves getting into their heads! But it definitely takes an effort to put myself back into that position and understanding where they’re coming from sometimes. This is all on me for choosing to focus on YA books, but I notice that I read more adult books than before, just for a break. Sure, I avoid heavier, angstier romance books – YA and Adult alike – but I will always gravitate toward the cute, fluffy YA contemporaries that I love.
I mentioned before that I was reading adult contemporary fiction quite often in my early young adulthood. The YA market in publishing now is super vast compared to 10 years ago when I was reading YA for the first time. That section of the bookstore was so small; I’ll never forget those days. I’ve noticed that I am pulling more towards adult fiction than YA fiction sometimes, because I can often relate more to people older than me to people younger than me. Being 25 is kind of weird because I don’t feel like an adult or a teenager anymore. Most books have people in other areas of life. Adult contemporary follows a lot of people in their late twenties or early thirties, then another group involving women in their 40s/50s dealing with some life changes. (This is from what I’ve noticed and read recently, at least!) I’d love to read more books with people who are my age – a few years out of college.
My stats above don’t give you the right age breakdown because contemporary is all lumped together. I can see a big uptick in two things in 2016: I’m adding more adult books to my TBR… and I’m reading more of them too.
Adult: 18 books
Young Adult: 151 books
== These calculated molecules were left in the entry by mistake ==
-- begin --
[1]
Density functional theory data (the ωB97M-V functional and the def2-TZVPD basis) for a structure of composition C45H48O2OsP2SSi at a distorted geometry.

ORCA input file:
```
! wB97M-V def2-TZVPD RIJCOSX def2/J DEFGRID3
* xyz 2 1
Os 0.67416 0.34715 -0.38042
C 0.38830 3.32237 1.54889
Si -0.33214 1.62052 1.30173
C -2.14175 1.82563 0.78131
C -3.10787 2.38743 1.62256
C -4.41909 2.55155 1.20634
C -4.79561 2.17005 -0.07737
C -3.85571 1.63511 -0.94011
C -2.54047 1.45944 -0.50848
P -1.24795 0.86543 -1.63293
C -1.76370 -0.50179 -2.70248
C -2.79765 -0.30465 -3.62090
C -3.16898 -1.32568 -4.47963
C -2.49495 -2.54018 -4.45148
C -1.44168 -2.72915 -3.56906
C -1.07517 -1.71531 -2.69516
C -0.93341 2.22607 -2.77408
C -0.44257 1.95704 -4.05309
C -0.22702 2.99923 -4.93869
C -0.48564 4.30831 -4.54897
C -0.96299 4.57783 -3.27409
C -1.19062 3.53922 -2.38371
C -0.20447 0.67337 2.93030
C -0.77770 1.12155 4.12211
C -0.62535 0.41363 5.30517
C 0.13191 -0.75099 5.32840
C 0.73180 -1.20501 4.16484
C 0.54804 -0.50433 2.97172
P 1.36732 -1.00742 1.44501
C 1.23018 -2.80745 1.24986
C 0.43538 -3.58159 2.09186
C 0.37075 -4.95759 1.92529
C 1.07219 -5.57013 0.89765
C 1.84773 -4.80290 0.03898
C 1.93295 -3.43154 0.21811
C 3.13481 -0.65333 1.65571
C 4.00944 -0.89005 0.59316
C 5.37088 -0.68731 0.74537
C 5.87036 -0.22797 1.95609
C 5.00571 0.03330 3.00937
C 3.64286 -0.17782 2.86465
H -0.21158 3.87690 2.27651
H 0.38929 3.89235 0.61725
H 1.40951 3.27148 1.92891
H -2.83706 2.70555 2.62251
H -5.14986 2.98456 1.87687
H -5.81682 2.30412 -0.40799
H -4.15669 1.36024 -1.94108
H -3.29319 0.65394 -3.69945
H -3.97303 -1.16650 -5.18543
H -2.78028 -3.33106 -5.13233
H -0.89680 -3.66420 -3.56409
H -0.25461 -1.87268 -2.00598
H -0.24857 0.93764 -4.36417
H 0.13809 2.79138 -5.93566
H -0.32177 5.11967 -5.24567
H -1.17244 5.59649 -2.97613
H -1.58415 3.75307 -1.39727
H -1.34295 2.04598 4.14108
H -1.08210 0.77815 6.21603
H 0.26862 -1.29448 6.25377
H 1.34892 -2.09485 4.19426
H -0.12744 -3.11834 2.89046
H -0.22594 -5.55417 2.60360
H 1.02170 -6.64331 0.77048
H 2.40012 -5.27487 -0.76247
H 2.55753 -2.85734 -0.45080
H 3.62884 -1.22048 -0.36523
H 6.04246 -0.87908 -0.08147
H 6.93327 -0.06728 2.07696
H 5.39309 0.39974 3.95043
H 2.98229 0.03721 3.69323
O -0.90713 -1.17148 0.30362
S -2.42071 -1.47481 0.29907
C -2.96039 -1.56567 2.01709
C -3.93172 -2.73888 2.01676
C -3.22015 -3.87353 1.27499
C -2.55815 -3.27004 0.03157
H -3.39451 -0.60647 2.29206
H -2.07196 -1.75506 2.62346
H -4.85695 -2.46431 1.50424
H -4.19866 -3.01556 3.03546
H -3.91048 -4.66735 0.99670
H -2.45746 -4.31235 1.91920
H -3.15193 -3.39102 -0.87371
H -1.54743 -3.62933 -0.15734
C 2.45860 3.35885 -2.43986
C 3.01015 2.26548 -1.54101
C 3.53371 2.84149 -0.23608
C 4.03317 1.41709 -2.27109
O 1.87641 1.38393 -1.22641
H 3.25487 4.06897 -2.66525
H 1.65232 3.89524 -1.93976
H 2.08713 2.94702 -3.37643
H 4.48410 3.34314 -0.42175
H 3.70504 2.05672 0.50064
H 2.83621 3.57207 0.17077
H 4.83897 2.06025 -2.62617
H 3.57799 0.93051 -3.13375
H 4.46821 0.66323 -1.61799
*
```
-- stop --
Adult: 27 books
Young Adult: 100 books
I’ve found a few trusted people to recommend them and follow more blogs that read adult instead of YA. Adding more to my TBR, checking them out from the library, and then being in the mood for them overall has made all the difference. It feels really good to switch in and out of age targets; I don’t think I could read 90% YA anymore. I never want to leave it behind, but I’m loving the balance. (The ratio I have right now is totally not balance, like 50/50, by any means… but hopefully you see what I’m getting at!)
While my habits are clearly changing in a way that maybe I’m the only one who can notice, I know they’re making that subtle shift. My goal lists for 2017 definitely include reading even less contemporaries. Like, noticeably less – not just under 50% vs. over 50%. I also want to more widely read other genres too. I’m glad I’ve reached for new books and added some to my TBR (thanks!)… now it’s just the time to read them! I want to better appreciate each book I read so I can fully remember each of them when I finish too. More genres, less angst (or at least more balanced angst), and books with older characters are my newest developments in my old age (ha!).
You’ve got me curious now about my Adult:YA ratio. Hmm. I may need to do a post about that. I think I’ve shifted to more adult books as well, but the numbers would be interesting. Great post. I love self-analysis.
Thank you! Me too! I don’t know why but I’m so introspective lately with my reading habits. Not a bad thing!
I’ll be excited to see your post, so I hope you write it!
THIS IS TOTALLY MY LIFE. Over the past year or so I’ve found myself SO over romance/drama/angst because I just can’t relate to it anymore. I try not to judge because I was TOTALLY into reading that when I was an actual teenager reading YA, but now my tolerance has gone waaaay down and I really try to be picky when I pick up a romance-focused book (ACOMAF is the only YA book I read in 2016 that I can think of where I was reading FOR the romance rather than AROUND it). I find myself much more drawn to YA that’s about family issues or social issues, and definitely more drawn to “upper” YA. I also CANNOT with Dystopian anymore as a genre. I was never super into it but read Hunger Games, Divergent, etc. and it’s so, so overdone that I want to run away from it as fast as I can.
Also I love that you read the A-List! I loved that series. I’ve been thinking of rereading it eventually lol. It would be fun to do some sort of breakdown on how early-2000s YA differs from YA now (SO many more options now!)
Yessss on all this!!! Especially with reading ~around~ romance. It doesn’t work for me as much any more but I know it’ll work for teens. I love talking to my younger sister about this because her opinions are straight from a romance-obsessed teen and she keeps me in the loop hahah.
I LOVED The A-List! All of those rich people books were my fave. They were in the inspiration for my Nostalgia Project I posted about a few times. I’m terrible about following through on it and making time for those long but easy-to-read series rereads. I was planning to talk about the whole “old YA” versus “current YA” thing in my post series but I’ve been so lazy!
I totally get what you mean about being able to predict where stories are going and it probably is because we read so much. I do try to actively search for books that will go somewhere new and not follow the dreaded YA Formula. I also really LOVE Contemporary, but I don’t like romance. Especially romance that looks like Bella/Edward, Abby/Travis stuff. I try to find Contemporary that’s about some bigger issues. Those ones I found mean more to me AND they don’t all go in the same direction.
And I’ve completely taken NA off my board. I can’t with those right now. But I will read an Adult book if I know it’s doing something crazy. Like the Gone Girls and Sharp Objects of the world.
Great post!! Super thought provoking!
I like what you say there about contemporary vs. romance! I love the contemporary aspects because it’s current and happening now, but the romance part can be harder and separate from that! I like NA when I’m REALLY in the mood for it, but I aggressively check Goodreads reviews for angsty stuff just in case.
Being in your mid twenties is hard when relating to characters in both YA and Adult books, because they are not our age! I have the same problem sometimes as well. I occasionally enjoy new adult books, but those seem to be very specific drama romance for the most part. I do like the fluffier ones better or the ones with some paranormal elements, but I feel like they are harder to find. Anyway, lately I have been reading a mix of adult and YA mostly because I have less time than ever before due to working two jobs and now being in grad school. Therefore, I am being a little more picky than I ever was before. I just DNFd a book a couple of days ago and I NEVER really do that. Being in the mood is a big one for me as well. Thanks for sharing your reading shift with us!
Right? You’re stuck right in the middle! I enjoy books around my age-range but they’re usually NA and not exactly what I’m looking for. I like to read both YA and A to mix it up a little bit too. It’s a good thing to be picky and DNF, I’ve slowly realized!
I’m totally with you on reading “older”. Being in my mid-20s, I feel a little caught in between. I’m not into crime/thrillers, which practically halves the adult fiction that could appeal to me. Since I also tend to contemporary fiction a fair bit, that makes it even harder because I don’t really care to read about marriages falling apart, family drama, and stuff like that. Romance is fine but it does get repetitive. And yet, I’ve been reading a greater proportion of adult books compared to YA books. It’s still less but growing noticeably as I find myself not connecting with teen protagonists as much as in the past.
So true! I like some mystery/thrillers, but usually the basic YA ones haha. Adult mystery or fantasy books don’t really appeal to me. It’s hard to read adult contemps for so many of those reasons. It’s hard to relate to that stage of life since I haven’t been there yet haha.
This is such an interesting post! I can definitely look back and see how my tastes have changed as I’ve gotten older. I used to read lots of paranormal…it was at its post Twilight peak back then. Now I rarely read it. I mostly read high fantasy and (angst free) contemporary these days, with some adult thrown in.
[…] Genres: Less YA, More Adult Fiction? {Opinionated Book Lover} Kate was inspired by my similar post recently and I loved reading her thoughts on this topic! She had specific (somewhat more personal) […]